Work order =
What is needed: repeat the lines further below up to the one that holds "3.110 0.002", that line included.

Input =
+++
No. 1
Formula: C3H5N2
Source: the OMol25 dataset
Level of theory: ωB97M-V/def2-TZVPD

Values from the calculation:
Energy above the lowest of the compared OMol25 structures with the same formula, charge and spin ... 150.2 kcal per mole
Kohn-Sham gap ... 9.59 eV
Net charge ... +1
Strongest force on any atom ... 5.3 eV/Å

The geometry in XYZ format:
```
10
Properties=species:S:1:pos:R:3:forces:R:3:nbo_charge:R:1
N -0.881 -0.744 0.277 0.547 -1.784 -1.286 -0.453
C 1.507 -1.563 0.163 -0.085 -2.230 -2.903 -0.520
C 0.315 -1.177 0.221 -1.257 -0.592 0.660 0.517
N -0.196 1.492 0.124 -1.640 1.090 -1.794 -0.459
H -3.365 0.276 -0.382 1.034 0.035 2.066 0.046
H -2.986 0.253 0.353 -1.416 0.140 -2.092 -0.027
C -0.728 0.477 -0.170 2.023 3.792 3.134 0.753
H -0.040 2.537 0.170 -0.353 -1.828 -0.376 0.514
H 1.792 -2.247 -0.676 -0.762 0.538 0.170 0.325
H 2.336 -1.548 0.748 1.909 0.840 2.420 0.303
```
Positions in Å, forces in eV/Å.

---

No. 2
Formula: C40H36BiBr2NO2P
Source: the OMol25 dataset
Level of theory: ωB97M-V/def2-TZVPD

Values from the calculation:
Energy above the lowest of the compared OMol25 structures with the same formula, charge and spin ... 0.0 kcal per mole
Kohn-Sham gap ... 7.29 eV
Net charge ... +1
Strongest force on any atom ... 0.5 eV/Å

The geometry in XYZ format:
```
83
Properties=species:S:1:pos:R:3:forces:R:3:nbo_charge:R:1
C -2.885 -3.460 1.392 -0.047 0.067 -0.037 -0.644
Br 3.377 0.957 -3.299 0.011 0.041 0.004 0.102
H -4.228 -0.899 2.734 0.046 0.001 -0.015 0.235
H -1.312 -1.519 -3.576 -0.037 -0.002 0.008 0.223
H 3.119 -5.722 -2.498 0.001 0.017 0.016 0.244
C 2.105 -1.165 1.644 -0.221 0.353 0.043 0.281
H -2.951 -0.989 -3.939 0.021 -0.010 0.010 0.228
C -3.614 1.434 0.442 -0.019 -0.102 -0.053 -0.642
H -0.324 2.134 -1.584 0.028 0.042 -0.018 0.218
C 1.368 2.680 -0.372 0.024 -0.123 0.001 -0.266
C 2.569 -4.935 -1.998 0.041 0.020 -0.064 -0.104
H -4.238 1.921 -0.307 0.030 -0.016 0.026 0.227
C -2.646 -2.539 -0.965 0.164 -0.024 -0.036 -0.022
C 2.802 -3.592 -2.368 -0.075 -0.036 0.110 -0.033
H -0.569 1.214 3.484 -0.002 0.037 0.008 0.218
H 4.043 3.021 4.383 -0.015 -0.036 -0.028 0.232
C 0.899 3.612 -2.544 -0.001 0.003 0.000 -0.195
C 0.564 2.755 -1.509 -0.034 0.010 0.018 -0.211
H -2.697 1.955 -1.839 -0.004 -0.013 -0.001 0.219
C 2.616 2.391 2.918 -0.022 0.047 -0.035 -0.195
Bi 0.171 -0.991 0.313 0.217 0.146 -0.375 1.496
H 0.271 3.671 -3.425 0.019 -0.007 0.041 0.227
C -0.828 3.916 1.441 -0.001 0.011 0.024 -0.224
C 3.872 -1.827 -3.608 0.002 0.080 0.008 -0.209
C 0.967 -4.192 -0.393 -0.012 0.082 -0.004 0.097
H -4.202 1.379 1.355 0.016 -0.014 -0.015 0.225
C -0.905 2.177 3.110 0.002 0.007 -0.081 -0.213
C -3.192 0.058 -0.032 0.132 0.082 -0.003 -0.012
H -2.762 2.092 0.639 -0.006 -0.005 -0.002 0.219
H 4.115 -1.135 3.330 -0.017 0.036 -0.009 0.234
C -2.368 -1.675 -3.327 -0.015 0.026 0.088 -0.650
C -0.399 2.676 1.906 -0.038 -0.181 0.053 -0.363
H -2.131 -4.639 -0.711 0.002 0.027 -0.032 0.215
H 0.246 -4.393 0.396 0.064 0.024 -0.086 0.207
Br 4.749 -4.407 -4.324 -0.012 -0.002 0.021 0.095
C 1.665 -5.235 -1.016 -0.021 -0.065 0.021 -0.262
N 1.152 -2.936 -0.732 -0.011 -0.184 0.047 -0.514
H -2.081 5.615 1.814 0.023 -0.053 0.019 0.221
C -3.209 -0.756 2.359 -0.099 -0.032 -0.092 -0.658
C -2.890 -0.155 -1.385 -0.010 0.001 -0.018 -0.017
H 3.790 4.862 -1.291 -0.068 -0.050 0.011 0.229
H -1.497 -3.911 -2.176 -0.023 -0.003 0.008 0.220
C 3.121 -0.863 -2.906 0.024 0.068 -0.047 -0.128
C -3.106 -1.011 0.866 -0.023 -0.005 0.186 -0.026
H -3.198 -4.394 0.933 -0.001 0.010 0.010 0.229
H 2.318 5.052 -3.269 -0.013 -0.051 0.067 0.229
C 3.714 -0.136 3.216 -0.002 -0.094 -0.002 -0.094
C 2.655 0.056 2.328 0.033 -0.082 0.019 -0.213
H -2.630 -2.684 -3.635 0.007 0.024 0.011 0.227
C -2.630 -1.451 -1.852 0.009 -0.001 -0.044 -0.003
H -2.971 4.724 3.941 0.019 -0.020 -0.028 0.229
C -1.754 4.648 2.177 0.000 0.015 -0.013 -0.143
C -2.254 4.148 3.370 -0.008 0.003 -0.019 -0.204
C -2.880 -2.315 0.397 -0.013 -0.090 0.162 -0.027
H -2.566 -1.434 2.925 -0.030 0.026 -0.044 0.215
+++

Result =
No. 1
Formula: C3H5N2
Source: the OMol25 dataset
Level of theory: ωB97M-V/def2-TZVPD

Values from the calculation:
Energy above the lowest of the compared OMol25 structures with the same formula, charge and spin ... 150.2 kcal per mole
Kohn-Sham gap ... 9.59 eV
Net charge ... +1
Strongest force on any atom ... 5.3 eV/Å

The geometry in XYZ format:
```
10
Properties=species:S:1:pos:R:3:forces:R:3:nbo_charge:R:1
N -0.881 -0.744 0.277 0.547 -1.784 -1.286 -0.453
C 1.507 -1.563 0.163 -0.085 -2.230 -2.903 -0.520
C 0.315 -1.177 0.221 -1.257 -0.592 0.660 0.517
N -0.196 1.492 0.124 -1.640 1.090 -1.794 -0.459
H -3.365 0.276 -0.382 1.034 0.035 2.066 0.046
H -2.986 0.253 0.353 -1.416 0.140 -2.092 -0.027
C -0.728 0.477 -0.170 2.023 3.792 3.134 0.753
H -0.040 2.537 0.170 -0.353 -1.828 -0.376 0.514
H 1.792 -2.247 -0.676 -0.762 0.538 0.170 0.325
H 2.336 -1.548 0.748 1.909 0.840 2.420 0.303
```
Positions in Å, forces in eV/Å.

---

No. 2
Formula: C40H36BiBr2NO2P
Source: the OMol25 dataset
Level of theory: ωB97M-V/def2-TZVPD

Values from the calculation:
Energy above the lowest of the compared OMol25 structures with the same formula, charge and spin ... 0.0 kcal per mole
Kohn-Sham gap ... 7.29 eV
Net charge ... +1
Strongest force on any atom ... 0.5 eV/Å

The geometry in XYZ format:
```
83
Properties=species:S:1:pos:R:3:forces:R:3:nbo_charge:R:1
C -2.885 -3.460 1.392 -0.047 0.067 -0.037 -0.644
Br 3.377 0.957 -3.299 0.011 0.041 0.004 0.102
H -4.228 -0.899 2.734 0.046 0.001 -0.015 0.235
H -1.312 -1.519 -3.576 -0.037 -0.002 0.008 0.223
H 3.119 -5.722 -2.498 0.001 0.017 0.016 0.244
C 2.105 -1.165 1.644 -0.221 0.353 0.043 0.281
H -2.951 -0.989 -3.939 0.021 -0.010 0.010 0.228
C -3.614 1.434 0.442 -0.019 -0.102 -0.053 -0.642
H -0.324 2.134 -1.584 0.028 0.042 -0.018 0.218
C 1.368 2.680 -0.372 0.024 -0.123 0.001 -0.266
C 2.569 -4.935 -1.998 0.041 0.020 -0.064 -0.104
H -4.238 1.921 -0.307 0.030 -0.016 0.026 0.227
C -2.646 -2.539 -0.965 0.164 -0.024 -0.036 -0.022
C 2.802 -3.592 -2.368 -0.075 -0.036 0.110 -0.033
H -0.569 1.214 3.484 -0.002 0.037 0.008 0.218
H 4.043 3.021 4.383 -0.015 -0.036 -0.028 0.232
C 0.899 3.612 -2.544 -0.001 0.003 0.000 -0.195
C 0.564 2.755 -1.509 -0.034 0.010 0.018 -0.211
H -2.697 1.955 -1.839 -0.004 -0.013 -0.001 0.219
C 2.616 2.391 2.918 -0.022 0.047 -0.035 -0.195
Bi 0.171 -0.991 0.313 0.217 0.146 -0.375 1.496
H 0.271 3.671 -3.425 0.019 -0.007 0.041 0.227
C -0.828 3.916 1.441 -0.001 0.011 0.024 -0.224
C 3.872 -1.827 -3.608 0.002 0.080 0.008 -0.209
C 0.967 -4.192 -0.393 -0.012 0.082 -0.004 0.097
H -4.202 1.379 1.355 0.016 -0.014 -0.015 0.225
C -0.905 2.177 3.110 0.002 0.007 -0.081 -0.213